Brief.
Could you say how many lines of the contents further down hold the word "Calculated", as a bare number?

Contents.
Entry 1:
A plane-wave DFT calculation with PBE was carried out for an optimized crystal structure of La2Nb3S2O8.

Cell lengths 7.7201, 9.9977, 11.9625 Å; angles 90.00, 90.00, 90.00 degrees
Positions (direct):
O  0.2634  0.6978  0.5250
O  0.2556  0.5563  0.1052
Nb  0.7128  0.5000  0.5000
La  0.0000  0.2925  0.8401
Nb  0.2502  0.6352  0.9149
O  0.2366  0.1978  0.9750
O  0.2485  0.7137  0.7741
O  0.7515  0.7137  0.7741
O  0.7556  0.0563  0.3948
O  0.5000  0.8668  0.4487
Nb  0.7502  0.8648  0.4149
La  0.5000  0.2687  0.8495
O  0.2444  0.0563  0.3948
O  0.0000  0.3668  0.0513
O  0.2515  0.2137  0.7259
O  0.7556  0.9437  0.6052
S  0.5000  0.4830  0.6536
O  0.2556  0.4437  0.8948
La  0.0000  0.7687  0.6505
S  0.0000  0.4805  0.6345
O  0.5000  0.1332  0.5513
Nb  0.7872  0.0000  0.0000
O  0.7366  0.6978  0.5250
Nb  0.7498  0.3648  0.0851
O  0.2485  0.2863  0.2259
O  0.7515  0.2863  0.2259
O  0.7444  0.5563  0.1052
La  0.0000  0.2313  0.3495
O  0.0000  0.8514  0.4499
O  0.0000  0.6332  0.9487
S  0.0000  0.5195  0.3655
La  0.0000  0.7075  0.1599
Nb  0.2128  0.0000  0.0000
O  0.0000  0.1486  0.5501
Nb  0.2502  0.3648  0.0851
O  0.7634  0.8022  0.0250
O  0.7485  0.7863  0.2741
S  0.5000  0.5170  0.3464
O  0.5000  0.3514  0.0501
O  0.2515  0.7863  0.2741
S  0.5000  0.0195  0.1345
Nb  0.7502  0.1352  0.5851
S  0.0000  0.9830  0.8464
O  0.7485  0.2137  0.7259
Nb  0.7498  0.6352  0.9149
O  0.2634  0.3022  0.4750
O  0.7444  0.4437  0.8948
S  0.5000  0.9805  0.8655
O  0.7634  0.1978  0.9750
La  0.5000  0.7925  0.6599
O  0.7366  0.3022  0.4750
O  0.5000  0.6486  0.9499
S  0.0000  0.0170  0.1536
La  0.5000  0.2075  0.3401
O  0.2444  0.9437  0.6052
Nb  0.2498  0.1352  0.5851
O  0.2366  0.8022  0.0250
La  0.5000  0.7313  0.1505
Nb  0.2498  0.8648  0.4149
Nb  0.2872  0.5000  0.5000

Output
Calculated formation energy: -3.09 eV per atom

Entry 2:
A plane-wave DFT calculation with PBE was carried out for an optimized crystal structure of La3NbSiS5O24.

Cell lengths 9.4850, 9.4914, 24.1855 Å; angles 90.07, 90.18, 119.94 degrees
Positions (direct):
O  0.3024  0.8151  0.2678
O  0.2023  0.0095  0.3053
O  0.3879  0.8785  0.8678
S  0.0243  0.3151  0.2536
O  0.5386  0.6838  0.9714
O  0.1431  0.5241  0.8643
O  0.4899  0.3835  0.4153
O  0.4719  0.1246  0.2433
O  0.2199  0.2089  0.8018
O  0.6651  0.1457  0.1293
S  0.9297  0.6086  0.0783
O  0.8505  0.3727  0.9293
O  0.7874  0.7853  0.3029
O  0.1428  0.4715  0.9711
O  0.4788  0.6219  0.8651
O  0.5334  0.8503  0.4632
Si  0.6129  0.6446  0.9190
O  0.1485  0.6786  0.4633
O  0.3245  0.4714  0.4647
O  0.6113  0.1015  0.4136
O  0.5195  0.8264  0.7665
O  0.1792  0.7004  0.7656
O  0.0562  0.8103  0.7029
O  0.5173  0.6921  0.2661
O  0.4966  0.8483  0.3634
O  0.2264  0.1700  0.0814
La  0.9988  0.9985  0.6527
O  0.9929  0.7856  0.8007
O  0.5291  0.6417  0.5786
O  0.5344  0.9074  0.0726
La  0.0111  0.0036  0.3540
O  0.5166  0.1280  0.9241
O  0.1955  0.2343  0.4076
S  0.9505  0.3247  0.5837
O  0.8898  0.5438  0.7441
O  0.8534  0.3067  0.5329
Nb  0.6732  0.3370  0.9731
O  0.1784  0.4788  0.2669
O  0.4599  0.3511  0.7449
O  0.3570  0.8868  0.5781
O  0.3018  0.4811  0.7663
O  0.7504  0.9414  0.7028
S  0.6754  0.6239  0.5837
O  0.0597  0.2487  0.2042
Si  0.0360  0.3889  0.9179
O  0.2301  0.9994  0.9022
S  0.2920  0.3178  0.7548
O  0.4533  0.1469  0.5330
O  0.6917  0.5439  0.5329
La  0.3339  0.6664  0.5275
S  0.6805  0.0680  0.0782
O  0.1911  0.2494  0.7038
Nb  0.3321  0.6566  0.8239
O  0.4802  0.3392  0.1304
O  0.9338  0.7667  0.0798
La  0.0110  0.9949  0.1418
O  0.0301  0.7963  0.4052
O  0.4779  0.3066  0.0299
O  0.9904  0.2105  0.3024
S  0.3744  0.0505  0.5837
O  0.2112  0.0339  0.5900
O  0.6567  0.5448  0.2460
O  0.6164  0.4690  0.9312
O  0.7669  0.9626  0.4039
O  0.3532  0.5004  0.3647
S  0.6857  0.7107  0.2536
O  0.1676  0.9462  0.1971
O  0.0934  0.6319  0.0719
O  0.1142  0.4708  0.5782
O  0.6916  0.1718  0.0286
O  0.6552  0.5234  0.6329
O  0.0005  0.2137  0.8998
O  0.8937  0.3535  0.2459
O  0.7900  0.7771  0.8996

Completed.
1